## Listing
- - -
No. 1
The following is a DFT calculation (PBE) of a geometry-optimized Li2Pr3Ge3 structure.

Unit cell a=4.411 b=6.133 c=14.879 alpha=90.00 beta=90.00 gamma=111.08
Each line ends with the local moment (μB).
Positions (direct):
1 Li 0.784 0.569 0.921  0.00
2 Li 0.216 0.431 0.421  0.00
3 Li 0.784 0.569 0.579  0.00
4 Li 0.216 0.431 0.079  0.00
5 Pr 0.919 0.837 0.386  0.10
6 Pr 0.081 0.163 0.886  0.10
7 Pr 0.919 0.837 0.114  0.10
8 Pr 0.081 0.163 0.614  0.10
9 Pr 0.634 0.268 0.250  0.15
10 Pr 0.366 0.732 0.750  0.15
11 Ge 0.597 0.194 0.455  0.00
12 Ge 0.403 0.806 0.955  0.00
13 Ge 0.597 0.194 0.045  0.00
14 Ge 0.403 0.806 0.545  0.00
15 Ge 0.327 0.654 0.250  -0.01
16 Ge 0.673 0.346 0.750  -0.01

Properties
- ΔE_f (meV per atom) = -667
- energy (eV/cell) = -74.70

---

No. 2
The following is a DFT calculation (PBE) of a geometry-optimized Tb8Sm2Th structure.

Unit cell a=5.060 b=7.998 c=9.460 alpha=104.63 beta=105.51 gamma=90.00
Positions (direct):
1 Tb 0.590 0.452 0.180
2 Tb 0.320 0.093 0.640
3 Tb 0.135 0.178 0.269
4 Tb 0.044 0.732 0.089
5 Tb 0.865 0.822 0.731
6 Tb 0.680 0.907 0.360
7 Tb 0.410 0.548 0.820
8 Tb 0.956 0.268 0.911
9 Sm 0.228 0.636 0.456
10 Sm 0.772 0.364 0.544
11 Th 0.500 0.000 0.000

Properties
- ΔE_f (meV per atom) = 25
- energy (eV/cell) = -53.63
- energy above the lowest structure with this stoichiometry (eV/f.u.) = 0.000

---

No. 3
The following is a DFT calculation (PBE) of a geometry-optimized AcPrCdIn structure.

Unit cell a=3.975 b=3.975 c=8.064 alpha=90.00 beta=90.00 gamma=90.00
Positions (direct):
1 Ac 0.500 0.500 0.607
2 Pr 0.500 0.500 0.105
3 Cd 0.000 0.000 0.878
4 In 0.000 0.000 0.337

Properties
- ΔE_f (meV per atom) = -374
- energy (eV/cell) = -14.04
- energy above the lowest structure with this stoichiometry (eV/f.u.) = 0.000

---

No. 4
The following is a DFT calculation (PBE) of a geometry-optimized K2Ba2Na5 structure.

Unit cell a=10.156 b=10.059 c=10.507 alpha=90.00 beta=61.10 gamma=90.00
Positions (direct):
1 K 0.125 0.377 0.000
2 K 0.875 0.623 0.000
3 K 0.375 0.877 0.000
4 K 0.625 0.123 0.000
5 Ba 0.235 0.000 0.530
6 Ba 0.735 0.500 0.530
7 Ba 0.765 0.000 0.470
8 Ba 0.265 0.500 0.470
9 Na 0.000 0.000 0.000
10 Na 0.500 0.500 0.000
11 Na 0.425 0.221 0.711
12 Na 0.864 0.779 0.711
- - -
## Brief
Could you retype the whole of the listing earlier on exactly?
## Here it is
No. 1
The following is a DFT calculation (PBE) of a geometry-optimized Li2Pr3Ge3 structure.

Unit cell a=4.411 b=6.133 c=14.879 alpha=90.00 beta=90.00 gamma=111.08
Each line ends with the local moment (μB).
Positions (direct):
1 Li 0.784 0.569 0.921  0.00
2 Li 0.216 0.431 0.421  0.00
3 Li 0.784 0.569 0.579  0.00
4 Li 0.216 0.431 0.079  0.00
5 Pr 0.919 0.837 0.386  0.10
6 Pr 0.081 0.163 0.886  0.10
7 Pr 0.919 0.837 0.114  0.10
8 Pr 0.081 0.163 0.614  0.10
9 Pr 0.634 0.268 0.250  0.15
10 Pr 0.366 0.732 0.750  0.15
11 Ge 0.597 0.194 0.455  0.00
12 Ge 0.403 0.806 0.955  0.00
13 Ge 0.597 0.194 0.045  0.00
14 Ge 0.403 0.806 0.545  0.00
15 Ge 0.327 0.654 0.250  -0.01
16 Ge 0.673 0.346 0.750  -0.01

Properties
- ΔE_f (meV per atom) = -667
- energy (eV/cell) = -74.70

---

No. 2
The following is a DFT calculation (PBE) of a geometry-optimized Tb8Sm2Th structure.

Unit cell a=5.060 b=7.998 c=9.460 alpha=104.63 beta=105.51 gamma=90.00
Positions (direct):
1 Tb 0.590 0.452 0.180
2 Tb 0.320 0.093 0.640
3 Tb 0.135 0.178 0.269
4 Tb 0.044 0.732 0.089
5 Tb 0.865 0.822 0.731
6 Tb 0.680 0.907 0.360
7 Tb 0.410 0.548 0.820
8 Tb 0.956 0.268 0.911
9 Sm 0.228 0.636 0.456
10 Sm 0.772 0.364 0.544
11 Th 0.500 0.000 0.000

Properties
- ΔE_f (meV per atom) = 25
- energy (eV/cell) = -53.63
- energy above the lowest structure with this stoichiometry (eV/f.u.) = 0.000

---

No. 3
The following is a DFT calculation (PBE) of a geometry-optimized AcPrCdIn structure.

Unit cell a=3.975 b=3.975 c=8.064 alpha=90.00 beta=90.00 gamma=90.00
Positions (direct):
1 Ac 0.500 0.500 0.607
2 Pr 0.500 0.500 0.105
3 Cd 0.000 0.000 0.878
4 In 0.000 0.000 0.337

Properties
- ΔE_f (meV per atom) = -374
- energy (eV/cell) = -14.04
- energy above the lowest structure with this stoichiometry (eV/f.u.) = 0.000

---

No. 4
The following is a DFT calculation (PBE) of a geometry-optimized K2Ba2Na5 structure.

Unit cell a=10.156 b=10.059 c=10.507 alpha=90.00 beta=61.10 gamma=90.00
Positions (direct):
1 K 0.125 0.377 0.000
2 K 0.875 0.623 0.000
3 K 0.375 0.877 0.000
4 K 0.625 0.123 0.000
5 Ba 0.235 0.000 0.530
6 Ba 0.735 0.500 0.530
7 Ba 0.765 0.000 0.470
8 Ba 0.265 0.500 0.470
9 Na 0.000 0.000 0.000
10 Na 0.500 0.500 0.000
11 Na 0.425 0.221 0.711
12 Na 0.864 0.779 0.711